# Input
# RbVAg2O4, optimized geometry, DFT PBE+U
data_RbVAg2O4
_chemical_formula_sum 'Rb1 V1 Ag2 O4'
_cell_length_a 5.676
_cell_length_b 5.676
_cell_length_c 5.676
_cell_angle_alpha 117.14
_cell_angle_beta 117.14
_cell_angle_gamma 95.03
_space_group_name_H-M_alt 'P 1'
_space_group_IT_number 1
loop_
_space_group_symop_operation_xyz
'x,y,z'
loop_
_atom_site_label
_atom_site_type_symbol
_atom_site_fract_x
_atom_site_fract_y
_atom_site_fract_z
Rb1 Rb 0.000 0.000 0.000
V1 V 0.500 0.500 0.000
Ag1 Ag 0.250 0.750 0.500
Ag2 Ag 0.750 0.250 0.500
O1 O 0.195 0.537 0.000
O2 O 0.463 0.463 0.658
O3 O 0.537 0.195 0.000
O4 O 0.805 0.805 0.342
# * magnetic moment: 0.000 μB per atom
# * crystal system: tetragonal
# * VASP energy: -5.4817 eV/atom

* * * * *

Compound: As2HWBr
Source: the Alexandria database
Functional: PBE
Structure: relaxed

a b c (Å): 4.019 4.019 5.018
angles (deg): 90.00 90.00 90.00
Site moments in Bohr magnetons follow the coordinates.
Element x y z (fractional)
H  0.000  0.000  0.000  -0.01
As  0.000  0.500  0.000  -0.09
As  0.500  0.000  0.000  -0.09
Br  0.000  0.000  0.500  -0.03
W  0.500  0.500  0.500  2.10

Output
E	-4.384	eV per atom
energy above the most stable polymorph in this dataset	281	meV per atom

* * * * *

Below is an optimized crystal structure of MgMn2BiPt, with properties calculated at the PBE-GGA level.

calculated total energy: -5.015 eV per atom
density: 6.7 g/cm3
M_tot: 7.80 Bohr magnetons per cell

a b c (Å): 5.0798 5.0798 5.1743
angles (deg): 90.00 90.00 90.00
Positions (direct):
Mg1 0.0000 0.0000 0.0000
Mn1 0.0000 0.5000 0.5000
Mn2 0.5000 0.0000 0.5000
Bi1 0.5000 0.5000 0.5000
Pt1 0.5000 0.5000 0.0000


Below is an optimized crystal structure of RbAlSe2, with properties calculated at the PBE-GGA level.

calculated total energy: -3.790 eV per atom
energy relative to the elements, uncorrected: -0.870 eV/atom
density: 4.1 g/cm3
M_tot: 0.00 Bohr magnetons per cell

a b c (Å): 3.8908 3.8908 8.4528
angles (deg): 90.00 90.00 120.00
Positions (direct):
Rb1 0.0000 0.0000 0.0000
Al1 0.6667 0.3333 0.5447
Se1 0.0000 0.0000 0.3892
Se2 0.3333 0.6667 0.7152


Below is an optimized crystal structure of Rb2MnCl3, with properties calculated at the PBE-GGA level.

calculated total energy: -4.081 eV per atom
energy relative to the elements, uncorrected: -1.307 eV/atom
density: 2.8 g/cm3
M_tot: 4.14 Bohr magnetons per cell

a b c (Å): 8.9132 8.9132 8.9132
angles (deg): 149.69 146.91 45.48
Positions (direct):
Rb1 0.1431 0.1431 0.0000
Rb2 0.8569 0.8569 0.0000
Mn1 0.5000 0.5000 0.0000
Cl1 0.0000 0.5000 0.5000
Cl2 0.3492 0.3492 0.0000
Cl3 0.6508 0.6508 0.0000


Below is an optimized crystal structure of Ga2Ni7As, with properties calculated at the PBE-GGA level.

calculated total energy: -5.250 eV per atom
density: 8.0 g/cm3
M_tot: 0.00 Bohr magnetons per cell

a b c (Å): 3.9390 3.9390 9.6066
angles (deg): 90.00 90.00 120.00
Positions (direct):
Ga1 0.0000 0.0000 0.0000
Ga2 0.3333 0.6667 0.6661
Ni1 0.0000 0.0000 0.2457
Ni2 0.0000 0.0000 0.5040
Ni3 0.0000 0.0000 0.7569
Ni4 0.3333 0.6667 0.3952
Ni5 0.3333 0.6667 0.9194
Ni6 0.6667 0.3333 0.0836
Ni7 0.6667 0.3333 0.5913
As1 0.6667 0.3333 0.3298


Below is an optimized crystal structure of KBa2Tb, with properties calculated at the PBE-GGA level.

calculated total energy: -2.004 eV per atom
density: 3.9 g/cm3
M_tot: 0.00 Bohr magnetons per cell

a b c (Å): 15.2734 15.2734 15.2734
angles (deg): 14.84 14.84 14.84
Positions (direct):
K1 0.0000 0.0000 0.0000
Ba1 0.4212 0.4212 0.4212
Ba2 0.5788 0.5788 0.5788
Tb1 0.5000 0.5000 0.5000


Below is an optimized crystal structure of La2MgAs, with properties calculated at the PBE-GGA level.

calculated total energy: -4.495 eV per atom
density: 4.9 g/cm3
M_tot: 0.72 Bohr magnetons per cell
energy above the lowest structure with this stoichiometry: 0.229 eV/atom

a b c (Å): 4.4917 4.4917 6.3444
angles (deg): 90.00 90.00 90.00
Positions (direct):
La1 0.0000 0.0000 0.0000
La2 0.5000 0.5000 0.4989
Mg1 0.5000 0.5000 0.9985
As1 0.0000 0.0000 0.5000

# Exercise
Next, echo only the last part of the entries further above, starting with the line that has "Structure: relaxed".

# Done
Structure: relaxed

a b c (Å): 4.019 4.019 5.018
angles (deg): 90.00 90.00 90.00
Site moments in Bohr magnetons follow the coordinates.
Element x y z (fractional)
H  0.000  0.000  0.000  -0.01
As  0.000  0.500  0.000  -0.09
As  0.500  0.000  0.000  -0.09
Br  0.000  0.000  0.500  -0.03
W  0.500  0.500  0.500  2.10

Output
E	-4.384	eV per atom
energy above the most stable polymorph in this dataset	281	meV per atom

* * * * *

Below is an optimized crystal structure of MgMn2BiPt, with properties calculated at the PBE-GGA level.

calculated total energy: -5.015 eV per atom
density: 6.7 g/cm3
M_tot: 7.80 Bohr magnetons per cell

a b c (Å): 5.0798 5.0798 5.1743
angles (deg): 90.00 90.00 90.00
Positions (direct):
Mg1 0.0000 0.0000 0.0000
Mn1 0.0000 0.5000 0.5000
Mn2 0.5000 0.0000 0.5000
Bi1 0.5000 0.5000 0.5000
Pt1 0.5000 0.5000 0.0000


Below is an optimized crystal structure of RbAlSe2, with properties calculated at the PBE-GGA level.

calculated total energy: -3.790 eV per atom
energy relative to the elements, uncorrected: -0.870 eV/atom
density: 4.1 g/cm3
M_tot: 0.00 Bohr magnetons per cell

a b c (Å): 3.8908 3.8908 8.4528
angles (deg): 90.00 90.00 120.00
Positions (direct):
Rb1 0.0000 0.0000 0.0000
Al1 0.6667 0.3333 0.5447
Se1 0.0000 0.0000 0.3892
Se2 0.3333 0.6667 0.7152


Below is an optimized crystal structure of Rb2MnCl3, with properties calculated at the PBE-GGA level.

calculated total energy: -4.081 eV per atom
energy relative to the elements, uncorrected: -1.307 eV/atom
density: 2.8 g/cm3
M_tot: 4.14 Bohr magnetons per cell

a b c (Å): 8.9132 8.9132 8.9132
angles (deg): 149.69 146.91 45.48
Positions (direct):
Rb1 0.1431 0.1431 0.0000
Rb2 0.8569 0.8569 0.0000
Mn1 0.5000 0.5000 0.0000
Cl1 0.0000 0.5000 0.5000
Cl2 0.3492 0.3492 0.0000
Cl3 0.6508 0.6508 0.0000


Below is an optimized crystal structure of Ga2Ni7As, with properties calculated at the PBE-GGA level.

calculated total energy: -5.250 eV per atom
density: 8.0 g/cm3
M_tot: 0.00 Bohr magnetons per cell

a b c (Å): 3.9390 3.9390 9.6066
angles (deg): 90.00 90.00 120.00
Positions (direct):
Ga1 0.0000 0.0000 0.0000
Ga2 0.3333 0.6667 0.6661
Ni1 0.0000 0.0000 0.2457
Ni2 0.0000 0.0000 0.5040
Ni3 0.0000 0.0000 0.7569
Ni4 0.3333 0.6667 0.3952
Ni5 0.3333 0.6667 0.9194
Ni6 0.6667 0.3333 0.0836
Ni7 0.6667 0.3333 0.5913
As1 0.6667 0.3333 0.3298


Below is an optimized crystal structure of KBa2Tb, with properties calculated at the PBE-GGA level.

calculated total energy: -2.004 eV per atom
density: 3.9 g/cm3
M_tot: 0.00 Bohr magnetons per cell

a b c (Å): 15.2734 15.2734 15.2734
angles (deg): 14.84 14.84 14.84
Positions (direct):
K1 0.0000 0.0000 0.0000
Ba1 0.4212 0.4212 0.4212
Ba2 0.5788 0.5788 0.5788
Tb1 0.5000 0.5000 0.5000


Below is an optimized crystal structure of La2MgAs, with properties calculated at the PBE-GGA level.

calculated total energy: -4.495 eV per atom
density: 4.9 g/cm3
M_tot: 0.72 Bohr magnetons per cell
energy above the lowest structure with this stoichiometry: 0.229 eV/atom

a b c (Å): 4.4917 4.4917 6.3444
angles (deg): 90.00 90.00 90.00
Positions (direct):
La1 0.0000 0.0000 0.0000
La2 0.5000 0.5000 0.4989
Mg1 0.5000 0.5000 0.9985
As1 0.0000 0.0000 0.5000